**Material:**
~~~
# PBE-GGA Dy8AlHg2, relaxed
# - Final energy: -3.908 eV/atom
# - N(E_F): 0.953 states/eV per atom
data_Dy8AlHg2
_chemical_formula_sum 'Dy8 Al1 Hg2'
_space_group_name_H-M_alt 'P 1'
_space_group_IT_number 1
_cell_length_a 5.020
_cell_length_b 8.370
_cell_length_c 8.804
_cell_angle_alpha 118.38
_cell_angle_beta 106.57
_cell_angle_gamma 90.00
loop_
_space_group_symop_operation_xyz
'x,y,z'
loop_
_atom_site_label
_atom_site_fract_x
_atom_site_fract_y
_atom_site_fract_z
_atom_site_occupancy
Dy1 0.659 0.882 0.318 1
Dy2 0.341 0.564 0.682 1
Dy3 0.133 0.133 0.267 1
Dy4 0.000 0.312 0.000 1
Dy5 0.867 0.867 0.733 1
Dy6 0.659 0.436 0.318 1
Dy7 0.341 0.118 0.682 1
Dy8 0.000 0.688 0.000 1
Al1 0.500 0.000 0.000 1
Hg1 0.198 0.698 0.397 1
Hg2 0.802 0.302 0.603 1

=====

# PBE-GGA Dy2AlHg8, relaxed
# - Final energy: -1.633 eV/atom
# - N(E_F): 0.432 states/eV per atom
data_Dy2AlHg8
_chemical_formula_sum 'Dy2 Al1 Hg8'
_space_group_name_H-M_alt 'P 1'
_space_group_IT_number 1
_cell_length_a 4.599
_cell_length_b 4.599
_cell_length_c 12.508
_cell_angle_alpha 90.00
_cell_angle_beta 90.00
_cell_angle_gamma 90.00
loop_
_space_group_symop_operation_xyz
'x,y,z'
loop_
_atom_site_label
_atom_site_fract_x
_atom_site_fract_y
_atom_site_fract_z
_atom_site_occupancy
Dy1 0.000 0.000 0.309 1
Dy2 0.000 0.000 0.691 1
Al1 0.000 0.000 0.000 1
Hg1 0.000 0.500 0.500 1
Hg2 0.500 0.000 0.500 1
Hg3 0.500 0.500 0.311 1
Hg4 0.500 0.500 0.689 1
Hg5 0.000 0.500 0.130 1
Hg6 0.500 0.000 0.130 1
Hg7 0.000 0.500 0.870 1
Hg8 0.500 0.000 0.870 1

=====

# PBE-GGA Dy5AlHg6, relaxed
# - Final energy: -2.798 eV/atom
# - N(E_F): 0.787 states/eV per atom
data_Dy5AlHg6
_chemical_formula_sum 'Dy5 Al1 Hg6'
_space_group_name_H-M_alt 'P 1'
_space_group_IT_number 1
_cell_length_a 5.168
_cell_length_b 7.471
_cell_length_c 8.077
_cell_angle_alpha 90.00
_cell_angle_beta 71.34
_cell_angle_gamma 90.00
loop_
_space_group_symop_operation_xyz
'x,y,z'
loop_
_atom_site_label
_atom_site_fract_x
_atom_site_fract_y
_atom_site_fract_z
_atom_site_occupancy
Hg1 0.837 0.765 0.327 1
Hg2 0.837 0.235 0.327 1
Hg3 0.500 0.262 0.000 1
Hg4 0.500 0.738 0.000 1
Hg5 0.163 0.765 0.673 1
Hg6 0.163 0.235 0.673 1
Al1 0.000 0.000 0.000 1
Dy1 0.676 0.500 0.648 1
Dy2 0.345 0.000 0.309 1
Dy3 0.000 0.500 0.000 1
Dy4 0.655 0.000 0.691 1
Dy5 0.324 0.500 0.352 1

=====

# PBE-GGA Dy2AlHg3, relaxed
# - Final energy: -2.716 eV/atom
# - N(E_F): 0.730 states/eV per atom
data_Dy2AlHg3
_chemical_formula_sum 'Dy4 Al2 Hg6'
_space_group_name_H-M_alt 'P 1'
_space_group_IT_number 1
_cell_length_a 5.952
_cell_length_b 5.952
_cell_length_c 9.049
_cell_angle_alpha 103.38
_cell_angle_beta 103.38
_cell_angle_gamma 107.23
loop_
_space_group_symop_operation_xyz
'x,y,z'
loop_
_atom_site_label
_atom_site_fract_x
_atom_site_fract_y
_atom_site_fract_z
_atom_site_occupancy
Dy1 0.250 0.750 0.500 1
Dy2 0.756 0.756 0.000 1
Dy3 0.750 0.250 0.500 1
Dy4 0.244 0.244 0.000 1
Al1 0.667 0.667 0.335 1
Al2 0.333 0.333 0.665 1
Hg1 0.346 0.826 0.171 1
Hg2 0.174 0.654 0.829 1
Hg3 0.654 0.174 0.829 1
Hg4 0.826 0.346 0.171 1
Hg5 0.171 0.171 0.342 1
Hg6 0.829 0.829 0.658 1

=====

# PBE-GGA Dy3Al2Hg3, relaxed
# - Final energy: -3.202 eV/atom
# - N(E_F): 0.616 states/eV per atom
data_Dy3Al2Hg3
_chemical_formula_sum 'Dy6 Al4 Hg6'
_space_group_name_H-M_alt 'P 1'
_space_group_IT_number 1
_cell_length_a 4.531
_cell_length_b 5.993
_cell_length_c 15.137
_cell_angle_alpha 90.00
_cell_angle_beta 90.00
_cell_angle_gamma 112.21
loop_
_space_group_symop_operation_xyz
'x,y,z'
loop_
_atom_site_label
_atom_site_fract_x
_atom_site_fract_y
_atom_site_fract_z
_atom_site_occupancy
Dy1 0.918 0.837 0.389 1
Dy2 0.082 0.163 0.889 1
Dy3 0.918 0.837 0.111 1
Dy4 0.082 0.163 0.611 1
Dy5 0.638 0.275 0.250 1
Dy6 0.362 0.725 0.750 1
Al1 0.792 0.584 0.892 1
Al2 0.208 0.416 0.392 1
Al3 0.792 0.584 0.608 1
Al4 0.208 0.416 0.108 1
Hg1 0.623 0.247 0.463 1
Hg2 0.377 0.753 0.963 1
Hg3 0.623 0.247 0.037 1
Hg4 0.377 0.753 0.537 1
Hg5 0.360 0.719 0.250 1
Hg6 0.640 0.281 0.750 1

=====
~~~

**Wanted:**
Please retype the block above word for word.

**Result:**
# PBE-GGA Dy8AlHg2, relaxed
# - Final energy: -3.908 eV/atom
# - N(E_F): 0.953 states/eV per atom
data_Dy8AlHg2
_chemical_formula_sum 'Dy8 Al1 Hg2'
_space_group_name_H-M_alt 'P 1'
_space_group_IT_number 1
_cell_length_a 5.020
_cell_length_b 8.370
_cell_length_c 8.804
_cell_angle_alpha 118.38
_cell_angle_beta 106.57
_cell_angle_gamma 90.00
loop_
_space_group_symop_operation_xyz
'x,y,z'
loop_
_atom_site_label
_atom_site_fract_x
_atom_site_fract_y
_atom_site_fract_z
_atom_site_occupancy
Dy1 0.659 0.882 0.318 1
Dy2 0.341 0.564 0.682 1
Dy3 0.133 0.133 0.267 1
Dy4 0.000 0.312 0.000 1
Dy5 0.867 0.867 0.733 1
Dy6 0.659 0.436 0.318 1
Dy7 0.341 0.118 0.682 1
Dy8 0.000 0.688 0.000 1
Al1 0.500 0.000 0.000 1
Hg1 0.198 0.698 0.397 1
Hg2 0.802 0.302 0.603 1

=====

# PBE-GGA Dy2AlHg8, relaxed
# - Final energy: -1.633 eV/atom
# - N(E_F): 0.432 states/eV per atom
data_Dy2AlHg8
_chemical_formula_sum 'Dy2 Al1 Hg8'
_space_group_name_H-M_alt 'P 1'
_space_group_IT_number 1
_cell_length_a 4.599
_cell_length_b 4.599
_cell_length_c 12.508
_cell_angle_alpha 90.00
_cell_angle_beta 90.00
_cell_angle_gamma 90.00
loop_
_space_group_symop_operation_xyz
'x,y,z'
loop_
_atom_site_label
_atom_site_fract_x
_atom_site_fract_y
_atom_site_fract_z
_atom_site_occupancy
Dy1 0.000 0.000 0.309 1
Dy2 0.000 0.000 0.691 1
Al1 0.000 0.000 0.000 1
Hg1 0.000 0.500 0.500 1
Hg2 0.500 0.000 0.500 1
Hg3 0.500 0.500 0.311 1
Hg4 0.500 0.500 0.689 1
Hg5 0.000 0.500 0.130 1
Hg6 0.500 0.000 0.130 1
Hg7 0.000 0.500 0.870 1
Hg8 0.500 0.000 0.870 1

=====

# PBE-GGA Dy5AlHg6, relaxed
# - Final energy: -2.798 eV/atom
# - N(E_F): 0.787 states/eV per atom
data_Dy5AlHg6
_chemical_formula_sum 'Dy5 Al1 Hg6'
_space_group_name_H-M_alt 'P 1'
_space_group_IT_number 1
_cell_length_a 5.168
_cell_length_b 7.471
_cell_length_c 8.077
_cell_angle_alpha 90.00
_cell_angle_beta 71.34
_cell_angle_gamma 90.00
loop_
_space_group_symop_operation_xyz
'x,y,z'
loop_
_atom_site_label
_atom_site_fract_x
_atom_site_fract_y
_atom_site_fract_z
_atom_site_occupancy
Hg1 0.837 0.765 0.327 1
Hg2 0.837 0.235 0.327 1
Hg3 0.500 0.262 0.000 1
Hg4 0.500 0.738 0.000 1
Hg5 0.163 0.765 0.673 1
Hg6 0.163 0.235 0.673 1
Al1 0.000 0.000 0.000 1
Dy1 0.676 0.500 0.648 1
Dy2 0.345 0.000 0.309 1
Dy3 0.000 0.500 0.000 1
Dy4 0.655 0.000 0.691 1
Dy5 0.324 0.500 0.352 1

=====

# PBE-GGA Dy2AlHg3, relaxed
# - Final energy: -2.716 eV/atom
# - N(E_F): 0.730 states/eV per atom
data_Dy2AlHg3
_chemical_formula_sum 'Dy4 Al2 Hg6'
_space_group_name_H-M_alt 'P 1'
_space_group_IT_number 1
_cell_length_a 5.952
_cell_length_b 5.952
_cell_length_c 9.049
_cell_angle_alpha 103.38
_cell_angle_beta 103.38
_cell_angle_gamma 107.23
loop_
_space_group_symop_operation_xyz
'x,y,z'
loop_
_atom_site_label
_atom_site_fract_x
_atom_site_fract_y
_atom_site_fract_z
_atom_site_occupancy
Dy1 0.250 0.750 0.500 1
Dy2 0.756 0.756 0.000 1
Dy3 0.750 0.250 0.500 1
Dy4 0.244 0.244 0.000 1
Al1 0.667 0.667 0.335 1
Al2 0.333 0.333 0.665 1
Hg1 0.346 0.826 0.171 1
Hg2 0.174 0.654 0.829 1
Hg3 0.654 0.174 0.829 1
Hg4 0.826 0.346 0.171 1
Hg5 0.171 0.171 0.342 1
Hg6 0.829 0.829 0.658 1

=====

# PBE-GGA Dy3Al2Hg3, relaxed
# - Final energy: -3.202 eV/atom
# - N(E_F): 0.616 states/eV per atom
data_Dy3Al2Hg3
_chemical_formula_sum 'Dy6 Al4 Hg6'
_space_group_name_H-M_alt 'P 1'
_space_group_IT_number 1
_cell_length_a 4.531
_cell_length_b 5.993
_cell_length_c 15.137
_cell_angle_alpha 90.00
_cell_angle_beta 90.00
_cell_angle_gamma 112.21
loop_
_space_group_symop_operation_xyz
'x,y,z'
loop_
_atom_site_label
_atom_site_fract_x
_atom_site_fract_y
_atom_site_fract_z
_atom_site_occupancy
Dy1 0.918 0.837 0.389 1
Dy2 0.082 0.163 0.889 1
Dy3 0.918 0.837 0.111 1
Dy4 0.082 0.163 0.611 1
Dy5 0.638 0.275 0.250 1
Dy6 0.362 0.725 0.750 1
Al1 0.792 0.584 0.892 1
Al2 0.208 0.416 0.392 1
Al3 0.792 0.584 0.608 1
Al4 0.208 0.416 0.108 1
Hg1 0.623 0.247 0.463 1
Hg2 0.377 0.753 0.963 1
Hg3 0.623 0.247 0.037 1
Hg4 0.377 0.753 0.537 1
Hg5 0.360 0.719 0.250 1
Hg6 0.640 0.281 0.750 1

=====